=====
DFT (GGA+U) results for a geometry-optimized NaCoAgO3 structure.

## Properties
* uncorrected energy: -4.627 eV per atom

Geometry as CIF:
```
data_NaCoAgO3
_chemical_formula_sum 'Na4 Co4 Ag4 O12'
_space_group_name_H-M_alt 'P 1'
_space_group_IT_number 1
_space_group_name_Hall 'P 1'
_cell_length_a 11.282
_cell_length_b 2.857
_cell_length_c 8.703
_cell_angle_alpha 90.00
_cell_angle_beta 90.00
_cell_angle_gamma 90.00
loop_
_atom_site_label
_atom_site_type_symbol
_atom_site_fract_x
_atom_site_fract_y
_atom_site_fract_z
Na1 Na 0.244 0.250 0.137
Na2 Na 0.256 0.750 0.637
Na3 Na 0.744 0.250 0.363
Na4 Na 0.756 0.750 0.863
Co1 Co 0.032 0.750 0.857
Co2 Co 0.468 0.250 0.357
Co3 Co 0.532 0.750 0.643
Co4 Co 0.968 0.250 0.143
Ag1 Ag 0.069 0.750 0.392
Ag2 Ag 0.431 0.250 0.892
Ag3 Ag 0.569 0.750 0.108
Ag4 Ag 0.931 0.250 0.608
O1 O 0.074 0.750 0.085
O2 O 0.106 0.250 0.754
O3 O 0.203 0.250 0.418
O4 O 0.297 0.750 0.918
O5 O 0.394 0.750 0.254
O6 O 0.426 0.250 0.585
O7 O 0.574 0.750 0.415
O8 O 0.606 0.250 0.746
O9 O 0.703 0.250 0.082
O10 O 0.797 0.750 0.582
O11 O 0.894 0.750 0.246
O12 O 0.926 0.250 0.915
```
=====
Give back all of the data earlier on character by character.
DFT (GGA+U) results for a geometry-optimized NaCoAgO3 structure.

## Properties
* uncorrected energy: -4.627 eV per atom

Geometry as CIF:
```
data_NaCoAgO3
_chemical_formula_sum 'Na4 Co4 Ag4 O12'
_space_group_name_H-M_alt 'P 1'
_space_group_IT_number 1
_space_group_name_Hall 'P 1'
_cell_length_a 11.282
_cell_length_b 2.857
_cell_length_c 8.703
_cell_angle_alpha 90.00
_cell_angle_beta 90.00
_cell_angle_gamma 90.00
loop_
_atom_site_label
_atom_site_type_symbol
_atom_site_fract_x
_atom_site_fract_y
_atom_site_fract_z
Na1 Na 0.244 0.250 0.137
Na2 Na 0.256 0.750 0.637
Na3 Na 0.744 0.250 0.363
Na4 Na 0.756 0.750 0.863
Co1 Co 0.032 0.750 0.857
Co2 Co 0.468 0.250 0.357
Co3 Co 0.532 0.750 0.643
Co4 Co 0.968 0.250 0.143
Ag1 Ag 0.069 0.750 0.392
Ag2 Ag 0.431 0.250 0.892
Ag3 Ag 0.569 0.750 0.108
Ag4 Ag 0.931 0.250 0.608
O1 O 0.074 0.750 0.085
O2 O 0.106 0.250 0.754
O3 O 0.203 0.250 0.418
O4 O 0.297 0.750 0.918
O5 O 0.394 0.750 0.254
O6 O 0.426 0.250 0.585
O7 O 0.574 0.750 0.415
O8 O 0.606 0.250 0.746
O9 O 0.703 0.250 0.082
O10 O 0.797 0.750 0.582
O11 O 0.894 0.750 0.246
O12 O 0.926 0.250 0.915
```